• 03/28/2003

    The US has asked the Czech Republic to provide a liason officer to take part in a team that would be responsible for civilian administration in a post-war Iraq. The information was released on Friday with Deputy Foreign Minister Rudolf Jindrak saying Czech officials were currently discussing the US request. However, the specifics for the renewal of Iraq remain unclear at this time: it is not yet certain whether the country would be administered by the UN, the US, or Great Britain after the war. The Czech Republic pledged its support for an EU resolution last week stressing the UN play a key role in the future of a post-war Iraq.

    Author: Jan Velinger
  • 03/27/2003

    Members of the joint Czech-Slovak anti-chemical unit stationed in Kuwait were called on to investigate a missile attack on Kuwait city on Thursday on suspicion that it may have contained a biological or chemical warhead. A chemical alert was called in the Kuwaiti capital as initial tests did not rule out the possibility of a biological weapons attack. However a detailed analysis of the suspicious substance revealed a harmless type of bacteria which is generally present in water cleaning facilities. The head of the Czech anti-chemical unit Dusan Lupuljev said it had been a tense morning.

  • 03/27/2003

    The Czech Republic will answer Turkey's request for humanitarian aid. An aid package worth an estimated 5 million Czech crowns will be sent by the end of the week. The emergency aid is to help refugees fleeing the war in Iraq. The shipment includes field kitchens, tents, and blankets. According to the CTK press agency the Czech Republic has said it would be willing to accept 500 war refuges at this point in time. In a related development, the Czech Defence Minister Jaroslav Tvrdik said on Thursday that in the event of a humanitarian crisis in Iraq the Czech Republic would not wait for UN approval to dispatch a field hospital to the region. The field hospital should be ready to depart as of April 1st.

  • 03/27/2003

    A unit of specialised forces have left for Kuwait to protect the joint Czech-Slovak anti-chemical unit if it should be called upon to enter Iraqi territory. The specialised unit includes sixteen soldiers from the Czech Republic's elite forces based in Prostejov, central Moravia. The Czech-Slovak anti-chemical unit would only be allowed to enter Iraq to provide humanitarian aid if chemical or biological weapons were used in the war. Following consultations with US officials the Czech Republic decided to give the anti-chemical unit additional protection in light of an increase in guerrilla war tactics by Iraq against the allied forces.

  • 03/26/2003

    The Czech Republic will deploy a unit of specialised forces to protect the joint Czech-Slovak anti-chemical unit currently stationed in Kuwait. The unit is expected to include around thirty soldiers from Prostejov, central Moravia. On Tuesday Czech and American officials held talks on whether US soldiers would protect the unit if it entered Iraq. The Czech unit will only be allowed to enter the country if chemical or biological weapons are used. The Czech Republic decided to send its own troops to protect the unit in light of an increase in guerrilla war tactics by Iraq against allied forces. The move comes at the same time that the anti-chemical unit has increased monitoring of chemical and biological agents at the request of the Kuwaiti authorities.

    Author: Martin Hrobský
  • 03/26/2003

    The Czech Republic has been included on a list of countries by President George Bush which are to benefit financially for supporting the United States, if the US Congress approves his request for 75 billion dollars in funding for the US-led wait against Iraq. The Czech Republic, along with Poland and Hungary would receive some 15 million dollars to cover expenses, in what Mr Bush has called the fight against terrorism. This despite the fact that Czech officials have expressed opposition to the Czech Republic being included on the list of countries taking part in the coalition against Iraq.

    Author: Martin Hrobský
  • 03/26/2003

    A new poll released Wednesday found overwhelming opposition to any war in Iraq in the Czech Republic, with or without a United Nations mandate. According to the CVVM agency, 72 percent of respondents said they opposed the war with UN backing, and 83 percent were against any war without the support of the UN. The poll found that only 21 percent of Czechs support any sort of war in Iraq. The poll also found that 70 percent of respondents do not think that the war against Iraq will contribute to suppressing global terrorism. Also, 82 percent agree with the notion that the United States prioritises foreign policy according to its own power and economic interests.

    Author: Martin Hrobský
  • 03/26/2003

## Between two parts of the article: calculated crystals
Entry 1:
# La2MgInIr | Alexandria via LeMat-Bulk | PBE-GGA | optimized geometry
# Spin magnetization in μB/atom: 0.000
# Formation energy in kJ/mol of atoms: -33.73
# Distance to the lowest polymorph of the same formula in eV per atom: 0.094
data_La2MgInIr
_chemical_formula_sum 'La2 Mg1 In1 Ir1'
_cell_length_a 5.5496
_cell_length_b 5.5496
_cell_length_c 5.2515
_cell_angle_alpha 90.00
_cell_angle_beta 90.00
_cell_angle_gamma 90.00
_space_group_name_H-M_alt 'P 4/m m m'
_space_group_IT_number 123
_space_group_name_Hall '-P 4 2'
loop_
_atom_site_label
_atom_site_fract_x
_atom_site_fract_y
_atom_site_fract_z
_atom_site_occupancy
La1 0.0000 0.5000 0.0000 1
Mg1 0.0000 0.0000 0.5000 1
In1 0.5000 0.5000 0.5000 1
Ir1 0.5000 0.5000 0.0000 1

Entry 2:
# RhW2Cl | Alexandria via LeMat-Bulk | PBE-GGA | optimized geometry
# Spin magnetization in μB/atom: 0.000
# Distance to the lowest polymorph of the same formula in eV per atom: 0.863
data_RhW2Cl
_chemical_formula_sum 'Rh4 W8 Cl4'
_cell_length_a 6.3568
_cell_length_b 6.3568
_cell_length_c 6.3568
_cell_angle_alpha 90.00
_cell_angle_beta 90.00
_cell_angle_gamma 90.00
_space_group_name_H-M_alt 'F -4 3 m'
_space_group_IT_number 216
_space_group_name_Hall 'F -4 2 3'
loop_
_atom_site_label
_atom_site_fract_x
_atom_site_fract_y
_atom_site_fract_z
_atom_site_occupancy
Rh1 0.0000 0.0000 0.0000 1
W1 0.0000 0.0000 0.5000 1
W2 0.2500 0.2500 0.2500 1
Cl1 0.2500 0.2500 0.7500 1

Entry 3:
# Ta4IrPt | Alexandria via LeMat-Bulk | PBE-GGA | optimized geometry
# Spin magnetization in μB/atom: 0.000
# Formation energy in kJ/mol of atoms: 13.78
data_Ta4IrPt
_chemical_formula_sum 'Ta16 Ir4 Pt4'
_cell_length_a 7.5013
_cell_length_b 7.5013
_cell_length_c 7.5013
_cell_angle_alpha 90.00
_cell_angle_beta 90.00
_cell_angle_gamma 90.00
_space_group_name_H-M_alt 'F -4 3 m'
_space_group_IT_number 216
_space_group_name_Hall 'F -4 2 3'
loop_
_atom_site_label
_atom_site_fract_x
_atom_site_fract_y
_atom_site_fract_z
_atom_site_occupancy
Ta1 0.1253 0.1253 0.1253 1
Ir1 0.0000 0.0000 0.5000 1
Pt1 0.2500 0.2500 0.7500 1

Entry 4:
# ZnNiOs | Alexandria via LeMat-Bulk | PBE-GGA | optimized geometry
# Spin magnetization in μB/atom: 0.000
# Formation energy in kJ/mol of atoms: 9.18
# Distance to the lowest polymorph of the same formula in eV per atom: 0.078
data_ZnNiOs
_chemical_formula_sum 'Zn2 Ni2 Os2'
_cell_length_a 2.6472
_cell_length_b 2.6472
_cell_length_c 11.2254
_cell_angle_alpha 90.00
_cell_angle_beta 90.00
_cell_angle_gamma 90.00
_space_group_name_H-M_alt 'I 4 m m'
_space_group_IT_number 107
_space_group_name_Hall 'I 4 -2'
loop_
_atom_site_label
_atom_site_fract_x
_atom_site_fract_y
_atom_site_fract_z
_atom_site_occupancy
Zn1 0.0000 0.0000 0.0000 1
Ni1 0.0000 0.0000 0.6634 1
Os1 0.0000 0.0000 0.3177 1

* * * * *

First-principles (PBE) data for crystalline NiPb2Se at its relaxed geometry, as listed in Alexandria.

```
NiPb2Se
1.0
-1.309 1.678 2.690
-1.228 -2.951 1.244
6.915 -1.156 4.086
Ni Pb Se
1 2 1
direct
0.500 0.500 0.656

    The director of the Czech Secret Service, Jiri Ruzek, told the BBC on Wednesday that Iraqi agents plotted an attack on the Prague headquarters of Radio Free Europe/Radio Liberty. The planned strike was intended to stop the US-funded station from broadcasting to Iraq. This marks the first time that that Radio Free Europe/Radio Liberty was confirmed as a target for a terrorist attack by a Czech official. Security at the station's headquarters was stepped up after the September 11th terrorist attacks on the US. The station's headquarters are near the top of Wenceslas Square, a highly populated area adjacent to a vital Prague highway.

    Author: Martin Hrobský
  • 03/26/2003

    After Czech Defense Minister Jaroslav Tvrdik stated that the return of Czech gas masks by Kuwaiti officials was a 'cause for shame', the manufacture of the masks, Gumarny, stated that Kuwaiti officials knew they were receiving older masks instead of the newer CM-6 design. Gurmarny's deputy director Jindrich Vaculin explained that the contract signed with Kuwaiti officials stated the older masks were intended only for an interim period before the newer models arrived. The CM-6 gas masks were to be delivered by the end of March but Kuwaiti officials had pushed for immediate delivery because of the war against Iraq.

    Author: Martin Hrobský
  • 03/25/2003

    The joint Czech-Slovak anti-chemical unit based in Kuwait has increased its monitoring of the situation involving radiation and chemical and biological weapons in the country, the unit's commander Dusan Lupuljev said on Tuesday. The monitoring was stepped up at midnight on Monday following a request from the Kuwaiti authorities. In the light of reports that Iraq may use such weapons when Baghdad is attacked, Czech and United States officials have held talks on US soldiers protecting the unit if it enters Iraq. The Czech parliament has approved its troops taking part in the US-led war against Saddam Hussein's regime if Iraq uses such weapons, though they are expected to play a primarily humanitarian role.

    Meanwhile the Czech-Slovak anti-chemical unit has again come under repeated rocket fire, but - as with previous attacks - none of the rockets have reached their target and there have been no injuries.

    In other war-related news, a total of seven US B 52 bomber planes have flown across the Czech Republic in the last 24 hours. Previously the US had only flown transport planes through Czech air space.

    Author: Ian Willoughby
